Holiday Spending and Savings Resolutions

At America Saves, our goal is to promote the importance of savings and encourage individuals and families to take financial action. To help the people you serve save more successfully and to promote the importance of savings at a national level, we have put together this resource packet with you in mind.

This resource packetcontains:

·  A sample article

·  Social media content

·  Tools and resources

Use these resources to communicate with the public, your audience, and with other organizations to help promote the importance of savings. Look for new packets from America Saves every six weeks.

We encourage you to use this material to:

·  Augment the savings information you already provide to others;

·  Encourage individuals to join as 'Savers' in the America Saves campaign, thereby creating and committing to a basic savings or debt reduction plan;

·  Position your organization as "in front" of the savings message and the need to save, particularly in uncertain economic times;

We want to hear from you. Please take a moment to complete this four-question survey on the usefulness of this material. Questions or Comments? Contact Katie Bryan.

Our next resource kit will be about America Saves Week, being held February 25 – March 2, 2013. If you have not yet signed up to participate visit

5 Resolutions to Get You Saving in the New Year

By Katie Bryan, America Saves Communications Manager

As the end of 2012 quickly approaches, make sure to give your finances a checkup and discover if you need to make saving your New Year’s resolution. You may discover that you have debt you need to pay down or that you are ready to take the next step in savings. Helping yourself and your family save successfully for the future should be near the top of your resolution list – and it’s one resolution you can’t afford to break! Remember, you don’t have to make a lot of money to save successfully. Start Small. Think Big.

5 Resolutions to Get You Saving in the New Year

1.  Get Out of Debt

The best investment most borrowers can make is to pay off consumer debt with double-digit interest rates. How to do it: Find places to cut your spending so that you can pay down your debts faster.

2.  Save for Emergencies

Having an emergency savings fund may be the most important difference between those who manage to stay afloat and those who are sinking financially. In a recent survey, only 49% of families said they had extra funds (not including lines of credit) available to pay for an unexpected expense of $1,000. Don’t find yourself unprepared in 2013. How to do it: Save a Portion of Your Tax Refund.

3.  Save for Retirement

Many employees turn down free money from their employer by not signing up for a work-related retirement program such as a 401(k) plan. If they did participate, with a dollar-for-dollar match they would likely receive an annual yield of greater than 100% on their investment. How to do it: Participate in a work-related retirement program or open up a Roth IRA. Already saving? Increase the amount you save toward retirement by 1% in 2013.

4.  Make Savings Automatic

It can be hard to put aside money for savings. But there is an easy way to save money without ever missing it –Make your savings automatic in 2013.

5.  Buy a Home and Pay Off the Mortgage Before You Retire

The largest asset of most middle-income families is their home equity. Once these families have made their last mortgage payment, they have far lower housing expenses. How to do it: Almost anyone can afford to own a home with proper preparation. Develop a savings plan to build up money for a down payment at purchase, for moving expenses, and for post-purchase emergency expenditures such as needed home repairs.

Savings Strategy: Save a Portion of Your Tax Refund

Tax Time is a great time to kickstart or grow your savings for the future! Use the 30 – 40 – 30 plan. Designate 30% of your refund to pay off debt and catch up on outstanding bills. Earmark 40% for current use. Use 30% to jump start an emergency fund or long term savings. You can use form 8888 to buy a U.S. Savings Bonds. Bonds are a safe and easy way to save for the future.

Are you ready to set your goal?

America Saves is an initiative of the non-profit Consumer Federation of America that encourages individuals and families to save money and build personal wealth. Join as a saver today to receive free resources, tips, and advice to help you save successfully!





Nov. 27 – Let this be the year that you put an end to bringing in the New Year with financial guilt and stress. #SavingsTip Tuesday

Dec. 11 – Tips For Keeping Holiday Debt Under Control: Study Finds Holiday Spending This Year Will Likely Rise #SavingsTipTuesday

Dec. 18 – The best investment for most borrowers is to pay off #debt with double-digit interest rates. #SavingsTipTuesday

Dec. 25 – America Saves wishes you peace, joy, and happiness this holiday season.

/*
For RbSm3F10, the PBE geometry in the Materials Project gives the simulated powder diffractogram in this record (Cu Kα (λ = 1.5418 Å)).

Top 8 peaks for 5 to 70 degrees two-theta, in order of rising 2θ:
| two_theta | d_spacing | I_rel |
| --- | --- | --- |
| 20.9 | 4.250 | 76 |
| 25.7 | 3.470 | 1000 |
| 29.7 | 3.005 | 415 |
| 42.5 | 2.125 | 486 |
| 50.3 | 1.812 | 568 |
| 52.8 | 1.735 | 134 |
| 61.7 | 1.503 | 83 |
| 68.0 | 1.379 | 198 |

```
data_RbSm3F10
_space_group_name_H-M_alt 'F m -3 m'
_space_group_IT_number 225
_space_group_name_Hall '-F 4 2 3'
_cell_length_a 12.0215
_cell_length_b 12.0215
_cell_length_c 12.0215
_cell_angle_alpha 90.00
_cell_angle_beta 90.00
_cell_angle_gamma 90.00
loop_
_atom_site_label
_atom_site_type_symbol
_atom_site_fract_x
_atom_site_fract_y
_atom_site_fract_z
Rb1 Rb 0.2500 0.2500 0.2500
Sm1 Sm 0.0000 0.0000 0.2401
F1 F 0.0000 0.1649 0.3351
F2 F 0.1107 0.1107 0.1107
```

For MgAl2P2O10, the PBE geometry in the Materials Project gives the simulated powder diffractogram in this record (Cu Kα (λ = 1.5418 Å)).

Top 8 peaks for 5 to 70 degrees two-theta, in order of rising 2θ:
| two_theta | d_spacing | I_rel |
| --- | --- | --- |
| 18.5 | 4.788 | 138 |
| 27.6 | 3.228 | 421 |
| 27.9 | 3.202 | 1000 |
| 28.4 | 3.141 | 324 |
| 34.4 | 2.610 | 169 |
| 38.8 | 2.323 | 98 |
| 57.4 | 1.605 | 140 |
| 57.6 | 1.599 | 117 |

```
data_MgAl2P2O10
_space_group_name_H-M_alt 'P 1 21/c 1'
_space_group_IT_number 14
_cell_length_a 7.1573
_cell_length_b 7.4996
_cell_length_c 7.0896
_cell_angle_alpha 90.00
_cell_angle_beta 118.65
_cell_angle_gamma 90.00
loop_
_space_group_symop_operation_xyz
'x,y,z'
'-x,-y,-z'
'-x,y+1/2,-z+1/2'
'x,-y+1/2,z+1/2'
loop_
_atom_site_label
_atom_site_type_symbol
_atom_site_fract_x
_atom_site_fract_y
_atom_site_fract_z
Mg1 Mg 0.0000 0.0000 0.0000
Al1 Al 0.2676 0.2323 0.7727
P1 P 0.2516 0.6143 0.0088
O1 O 0.0535 0.7435 0.9193
O2 O 0.2168 0.0092 0.3176
O3 O 0.2291 0.1722 0.0070
O4 O 0.2660 0.5036 0.1957
O5 O 0.4449 0.7349 0.0778
```

For Ca4Hg9, the PBE geometry in the Materials Project gives the simulated powder diffractogram in this record (Cu Kα (λ = 1.5418 Å)).

Top 8 peaks for 5 to 70 degrees two-theta, in order of rising 2θ:
| two_theta | d_spacing | I_rel |
| --- | --- | --- |
| 17.8 | 4.975 | 52 |
| 19.5 | 4.542 | 85 |
| 24.0 | 3.708 | 134 |
| 34.2 | 2.622 | 1000 |
| 49.1 | 1.854 | 131 |
| 57.4 | 1.606 | 44 |
| 61.2 | 1.514 | 253 |
| 68.5 | 1.369 | 92 |

```
data_Ca4Hg9
_space_group_name_H-M_alt 'P -4 3 m'
_space_group_IT_number 215
_space_group_name_Hall 'P -4 2 3'
_cell_length_a 11.1254
_cell_length_b 11.1254
_cell_length_c 11.1254
_cell_angle_alpha 90.00
_cell_angle_beta 90.00
_cell_angle_gamma 90.00
loop_
_atom_site_label
_atom_site_type_symbol
_atom_site_fract_x
_atom_site_fract_y
_atom_site_fract_z
Ca1 Ca 0.0362 0.3086 0.3086
Ca2 Ca 0.3658 0.3658 0.6342
Hg1 Hg 0.0000 0.0000 0.3524
Hg2 Hg 0.1049 0.1049 0.1049
Hg3 Hg 0.1382 0.5000 0.5000
Hg4 Hg 0.1761 0.1761 0.5250
Hg5 Hg 0.1842 0.1842 0.8158
*/
End of the records of crystals =

Jan. 1 – Anyone can afford to own a home w/ proper preparation. Develop a savings plan to build up $. #SavingsTipTuesday

Jan. 8 – Dealing with Post-Holiday Credit Card Debt Via @wisebread #SavingsTipTuesday


Nov. 30 – Participate in a work retirement program or open a Roth IRA in 2013. Or Increase savings amount by 1%. #SavingsFactFriday Via @AmericaSaves

Dec. 14 – Tax Time is a great time to kickstart or grow your savings for the future! #SavingsFactFriday Via @BondsMakeitEasy

Dec. 21 – 401(k) retirement plans can make for a financially secure retirement. #SavingsFactFriday Via @FINRAFoundation

Dec. 28 – Putting aside fifty cents a day will allow you to #save nearly $500. #SavingsFactFriday Via @America Saves

Jan. 4 – Find places to cut your spending so that you can pay down your debts faster in 2013 #SavingsFactFriday

Jan. 11 – Transferring money from checking to savings is the fastest way to #save $500 to $1,000 #SavingsFactFriday



America Saves

·  Get Out of Debt

·  Save for Emergencies

·  Save Automatically

·  Save for Retirement

·  Save for a Home

Saving at Tax Time

·  Great Reasons to Buy Tax Time Savings Bonds – Bonds Make it Easy

Saving for Retirement

·  Smart 401(k) Investing –from Financial Industry Regulatory Authority (FINRA)

·  Ballpark E$timate – from Choose to Save

·  TSP Roth Option – from Financial Industry Regulatory Authority (FINRA)

America Saves Blog (Holiday Spending)

·  Tips For Keeping Holiday Debt Under Control: Study Finds Holiday Spending This Year Will Likely Rise

·  How to Save $8,117 By Changing Your Black Friday Habits

·  Layaway During the Holidays: Bad or Good Idea?

·  Planning For Holiday Spending

·  Saving Money During the Holidays

More on Holiday Savings and Spending from @Wisebread

·  How to Deal With Post-Holiday Credit Card Debt

Next to the text, the page also holds crystal structures:
........
Structure and theoretical X-ray diffraction stick pattern of RbCoAs2O8 (DFT lattice parameters and positions (PBE+U); λ = 1.5418 Å (Cu Kα)).

Principal peaks in the range 2θ from 10° to 80°, low angle first:
2θ (°), I_rel
24.42, 100
28.57, 11
33.03, 22
36.51, 31
44.42, 16
50.05, 8
54.03, 11
58.80, 15
63.52, 7
65.72, 9

Crystal structure
Lattice parameters (Å, degrees): 4.9217 4.9217 28.1228 90.00 90.00 120.00
Space group R32 (No. 155, hexagonal axes)
Unique sites:
Rb (0.0000, 0.0000, 0.0000) x3
Co (0.0000, 0.0000, 0.5000) x3
As (0.0000, 0.0000, 0.2320) x6
O (0.0000, 0.0000, 0.2918) x6
O (0.0164, 0.3671, 0.1219) x18


No. 1
BaLaCl5: computed powder X-ray diffraction pattern (Cu Kα), based on the PBE geometry in the Materials Project.
Intensities are scaled so that the largest is 100.

The 10 most intense peaks (10 to 90 degrees two-theta), in order of rising 2θ:
2theta	d [Å]	I (rel.)
20.36	4.361	96
20.52	4.328	100
20.70	4.291	96
21.31	4.169	69
23.34	3.812	64
24.01	3.706	56
24.57	3.623	56
33.23	2.696	48
33.42	2.681	49
34.88	2.572	92

Crystal structure
Cell lengths 9.285, 10.790, 13.450 Å; angles 78.30, 76.87, 71.22 degrees
Positions (direct):
Ba  0.223  0.001  0.269
Ba  0.247  0.653  0.563
Ba  0.273  0.307  0.942
Ba  0.727  0.693  0.058
Ba  0.753  0.347  0.437
Ba  0.777  0.999  0.731
La  0.220  0.523  0.245
La  0.247  0.834  0.927
La  0.284  0.150  0.578
La  0.716  0.850  0.422
La  0.753  0.166  0.073
La  0.780  0.477  0.755
Cl  0.094  0.749  0.366
Cl  0.111  0.609  0.043
Cl  0.115  0.072  0.044
Cl  0.139  0.402  0.710
Cl  0.153  0.381  0.443
Cl  0.158  0.304  0.203
Cl  0.168  0.067  0.785
Cl  0.168  0.974  0.519
Cl  0.181  0.741  0.774
Cl  0.353  0.750  0.130
Cl  0.465  0.496  0.346
Cl  0.478  0.782  0.377
Cl  0.483  0.106  0.383
Cl  0.489  0.391  0.107
Cl  0.498  0.063  0.103
Cl  0.502  0.937  0.897
Cl  0.511  0.609  0.893
Cl  0.517  0.894  0.617
Cl  0.522  0.218  0.623
Cl  0.535  0.504  0.654
Cl  0.647  0.250  0.870
Cl  0.819  0.259  0.226
Cl  0.832  0.026  0.481
Cl  0.832  0.933  0.215
Cl  0.842  0.696  0.797
Cl  0.847  0.619  0.557
Cl  0.861  0.598  0.290
Cl  0.885  0.928  0.956
Cl  0.889  0.391  0.957
Cl  0.906  0.251  0.634



No. 2
BaLaCl5: computed powder X-ray diffraction pattern (Cu Kα), based on the PBE geometry in the Materials Project.
Intensities are scaled so that the largest is 100.

The 10 most intense peaks (10 to 90 degrees two-theta), in order of rising 2θ:
2theta	d [Å]	I (rel.)
16.65	5.325	21
19.06	4.657	27
20.65	4.300	100
21.92	4.055	54
22.66	3.924	21
31.17	2.869	54
33.72	2.658	30
34.23	2.620	52
34.70	2.585	44
37.35	2.407	34

Crystal structure
Cell lengths 15.532, 7.284, 14.645 Å; angles 90.00, 90.00, 90.00 degrees
Positions (direct):
Ba  0.095  0.250  0.185
Ba  0.102  0.750  0.480
Ba  0.398  0.250  0.980
Ba  0.405  0.750  0.685
Ba  0.595  0.250  0.315
Ba  0.602  0.750  0.020
Ba  0.898  0.250  0.520
Ba  0.905  0.750  0.815
La  0.104  0.250  0.785
La  0.220  0.750  0.965
La  0.280  0.250  0.465
La  0.396  0.750  0.285
........
So much for the crystal structures:

·  Why People Go Crazy Over Holiday Sales

·  11 Ways to Save on Holiday Travel


Visit the America Saves blog over the next six weeks for more articles on holiday spending and savings resolutions.